image: Infographic: The influence of eating and exercise on the timing of our internal clocks
== These crystal structures were left in the text by mistake ==
+++
[1]
## InSiRh2 (PBE-GGA)

Data for a relaxed InSiRh2 crystal.

Unit cell a=4.502 b=4.502 c=3.018 alpha=90.00 beta=90.00 gamma=96.58
Atoms (fractional coordinates):
In: 0.000 0.500 0.500
Rh: 0.000 0.000 0.000
Rh: 0.500 0.500 0.000
Si: 0.500 0.000 0.500

Values from the calculation:
The density of states at the Fermi level comes out at 1.75 states/eV per cell. Its total magnetization is 0.00 μB/f.u. The calculation puts the formation energy without anion corrections at -8.3 kcal/mol of atoms. The symmetry is Cmmm, No. 65.

[2]
## InSi2Rh (PBE-GGA)

Data for a relaxed InSi2Rh crystal.

Unit cell a=4.989 b=4.989 c=4.989 alpha=139.45 beta=121.58 gamma=73.53
Atoms (fractional coordinates):
In: 0.499 0.499 0.000
Rh: 0.783 0.283 0.500
Si: 0.995 0.995 0.000
Si: 0.223 0.723 0.500

Values from the calculation:
The density of states at the Fermi level comes out at 1.71 states/eV per cell. Its total magnetization is 0.00 μB/f.u. The calculation puts the formation energy without anion corrections at 2.5 kcal/mol of atoms. The symmetry is Imm2, No. 44.

[3]
## InSi2Rh (PBE-GGA)

Data for a relaxed InSi2Rh crystal.

Unit cell a=7.986 b=7.986 c=7.986 alpha=22.92 beta=22.92 gamma=22.92
Atoms (fractional coordinates):
In: 0.497 0.497 0.497
Rh: 0.738 0.738 0.738
Si: 0.005 0.005 0.005
Si: 0.261 0.261 0.261

Values from the calculation:
The density of states at the Fermi level comes out at 1.89 states/eV per cell. Its total magnetization is 0.00 μB/f.u. The calculation puts the formation energy without anion corrections at -1.3 kcal/mol of atoms. The symmetry is R3m, No. 160.

[4]
## InSiRh2 (PBE-GGA)

Data for a relaxed InSiRh2 crystal.

Unit cell a=5.187 b=5.187 c=5.187 alpha=137.96 beta=137.96 gamma=60.96
Atoms (fractional coordinates):
In: 0.750 0.250 0.500
Rh: 0.000 0.000 0.000
Rh: 0.250 0.750 0.500
Si: 0.500 0.500 0.000

Values from the calculation:
The density of states at the Fermi level comes out at 3.81 states/eV per cell. Its total magnetization is 0.00 μB/f.u. The calculation puts the formation energy without anion corrections at -5.0 kcal/mol of atoms. The symmetry is I-4m2, No. 119.

- The highest formation energy without anion corrections belongs to which entry?
  number 2

- Number 2 is which compound?
  InSi2Rh

- Number 3 is which compound?
  InSi2Rh

~~~~~

A plane-wave DFT calculation with GGA-PBE was carried out for a relaxed LaTaAsO crystal.

Lattice parameters (Å, degrees): 4.6828 6.3420 6.0524 90.00 90.00 90.00
Closest atoms and distances in Å follow each position.
Fractional coordinates of all 8 atoms:
La 0.0000 0.2387 0.0000  2 O 2.49
La 0.0000 0.7613 0.5000  2 O 2.49
Ta 0.5000 0.3999 0.5744  2 O 1.99-2.05
Ta 0.5000 0.6001 0.0744  2 O 1.99-2.05
As 0.0000 0.2480 0.4945  2 Ta 2.58
As 0.0000 0.7520 0.9945  2 Ta 2.58
O 0.5000 0.3256 0.8947  2 Ta 1.99-2.05
O 0.5000 0.6744 0.3947  2 Ta 1.99-2.05

Results
- uncorrected energy (eV/atom) = -7.99
- V (Å³ per atom) = 22.468
- space group = No. 26
- theoretical density (Mg/m³) = 7.59
+++
== End of the crystal structures ==
Credit: Yannick Couteaux
A new study shows that the timing of the different clocks in our body depends on multiple stimuli. This was investigated in the liver- and muscle clock of rats, where only a combination of eating and exercise was able to cause a shift of the internal muscle clock.
More and more people are diagnosed with obesity or type 2 diabetes. An important cause of this increase is the timing of eating and sleeping. People who are active at night such as those working night-shifts, experience a metabolic mismatch in their bodies, which increases the likelihood of metabolic problems. But how does this happen?
Our braincontains a biological clock. The period of this clock is not exactly 24 hours. How do we ensure that this biological clock knows when the day begins and ends? “This clock needs to be reset every day,” explains Professor Dries Kalsbeek, the group leader of this study. “This reset is mostly caused by light that enters through the eye. Every morning you open your eyes, this clock will reset.”
However, this biological clock in the brain is not the only clock present in your body. Different organs use the same molecular mechanism to keep track of time: the peripheral clocks. These clocks do not have a rhythm of exactly 24 hours either. Therefore, these clocks also need to be reset. “This resetting of the peripheral clocks is one of the main functions of the clock in our brain”, Kalsbeek explains. “It is the only clock directly connected to the eye, so this clock knows what the correct time is. This information is then shared with the peripheral clocks via hormones or nerve signals.”
Here the text breaks off for records of crystals.
-- begin --
Below is a relaxed TbTh2Cd crystal, with properties calculated at the PBE-GGA level.

Lattice parameters (Å, degrees): 3.4890 3.4890 9.9922 90.00 90.00 90.00
Closest atoms and distances in Å follow each position.
Space group P4/mmm (No. 123)
Symmetry-distinct sites (fractional):
Tb  0.0000  0.0000  0.0000 x1  4 Tb 3.49, 8 Th 3.61
Th  0.5000  0.5000  0.2634 x2  4 Cd 3.42, 4 Th 3.49, 4 Tb 3.61
Cd  0.0000  0.0000  0.5000 x1  8 Th 3.42, 4 Cd 3.49

Values from the calculation:
DOS at the Fermi energy ... 4.3 states/eV/cell
-- stop --
Two signals
But the peripheral clocks do not only react to signals from the brain clock. Research has shown that these clocks are also sensitive to the energy balance in your body. When you eat and take in energy, or when you are active and expand energy, the peripheral clocks register that. This can lead to a mismatch between the signals from the brain and the signals from your body. “The central brain clock and the peripheral clocks do not always align. When people are active or eat at night, the central clock says it is dark and that you should be resting, which contradicts with the signals from your body indicating that you are active. So, the two messages do not match.” This mismatch in the different peripheral clocks is an important hypothesis to explain metabolic problems, like type 2 diabetes.
Timing between eating and exercise
# 1
Density functional theory data (PBE) for a geometry-optimized Nb2InSn structure.

Its formation energy is 0.43 eV per atom.

Unit cell a=7.6397 b=7.6397 c=5.9555 alpha=90.00 beta=90.00 gamma=90.00
With the nearest neighbours (Å) after each atom.
Space group I-42d (No. 122)
One atom of each set of equivalent atoms:
Nb 0.2451 0.2500 0.1250 (multiplicity 8)  2 Sn 2.78, 2 In 2.83, 2 Nb 2.98
In 0.0000 0.0000 0.5000 (multiplicity 4)  4 Nb 2.83, 2 Sn 2.98
Sn 0.0000 0.0000 0.0000 (multiplicity 4)  4 Nb 2.78, 2 In 2.98



# 2
Density functional theory data (PBE) for a geometry-optimized TaCuIrPt structure.

Its formation energy is -0.37 eV per atom.

Unit cell a=6.2503 b=6.2503 c=6.2503 alpha=90.00 beta=90.00 gamma=90.00
With the nearest neighbours (Å) after each atom.
Space group F-43m (No. 216)
One atom of each set of equivalent atoms:
Ta 0.0000 0.0000 0.0000 (multiplicity 4)  4 Pt 2.71, 4 Ir 2.71
Cu 0.0000 0.0000 0.5000 (multiplicity 4)  4 Ir 2.71, 4 Pt 2.71
Ir 0.2500 0.2500 0.7500 (multiplicity 4)  4 Ta 2.71, 4 Cu 2.71
Pt 0.2500 0.2500 0.2500 (multiplicity 4)  4 Cu 2.71, 4 Ta 2.71



# 3
Density functional theory data (PBE) for a geometry-optimized LiAcAgPb structure.

Its formation energy is -0.29 eV per atom.

Unit cell a=7.4435 b=7.4435 c=7.4435 alpha=90.00 beta=90.00 gamma=90.00
With the nearest neighbours (Å) after each atom.
Space group F-43m (No. 216)
One atom of each set of equivalent atoms:
Li 0.0000 0.0000 0.0000 (multiplicity 4)  4 Ac 3.22, 4 Pb 3.22
Ac 0.2500 0.2500 0.2500 (multiplicity 4)  4 Li 3.22, 4 Ag 3.22
Ag 0.0000 0.0000 0.5000 (multiplicity 4)  4 Ac 3.22, 4 Pb 3.22
Pb 0.2500 0.2500 0.7500 (multiplicity 4)  4 Li 3.22, 4 Ag 3.22



# 4
Density functional theory data (PBE) for a geometry-optimized TaTiOsPdPb structure.

Its formation energy is 0.24 eV per atom.

Unit cell a=3.0629 b=5.1043 c=6.5699 alpha=73.66 beta=76.60 gamma=72.59
With the nearest neighbours (Å) after each atom.
Space group P1 (No. 1)
One atom of each set of equivalent atoms:
Ta 0.0000 0.0000 0.0000 (multiplicity 1)  2 Os 2.78, 2 Ti 2.80, 3 Pd 2.87-2.96, 1 Pb 3.04, 2 Ta 3.06
Ti 0.6819 0.0048 0.6327 (multiplicity 1)  2 Os 2.59, 2 Ta 2.80, 2 Pd 2.83
Os 0.4070 0.8189 0.3682 (multiplicity 1)  2 Ti 2.59, 3 Pb 2.73-2.78, 2 Ta 2.78, 1 Pd 2.88
Pd 0.3359 0.5185 0.8118 (multiplicity 1)  1 Pb 2.80, 3 Ti 2.83-2.98, 3 Ta 2.87-2.96, 1 Os 2.88, 2 Pd 3.06
Pb 0.1724 0.3940 0.2621 (multiplicity 1)  3 Os 2.73-2.78, 1 Pd 2.80, 1 Ta 3.04



# 5
Density functional theory data (PBE) for a geometry-optimized InNiAs2 structure.

Its formation energy is 0.01 eV per atom.

Unit cell a=2.9408 b=2.9408 c=8.8764 alpha=90.00 beta=90.00 gamma=90.00
With the nearest neighbours (Å) after each atom.
Space group P4/mmm (No. 123)
One atom of each set of equivalent atoms:
In 0.0000 0.0000 0.0000 (multiplicity 1)  4 In 2.94
Ni 0.0000 0.0000 0.5000 (multiplicity 1)  8 As 2.59
As 0.5000 0.5000 0.3254 (multiplicity 2)  4 Ni 2.59



# 6
Here the text continues:
It is already known for some time that the liver clock is reset by the timing of food intake. But how can we get the clock in your muscles to run properly? Professor Kalsbeek and his colleagues investigated this in rats. They had the rats run in a running wheel at different times of the day. Rats are nocturnal animals, and their biological clock signals them to be active at night. “Even though the rats were only running during the day, the muscle clock continued to operate on a nocturnal rhythm. However, when we also restricted the food intake of these rats to the daytime, not only the liver clock shifted, but we saw that also the muscle clock suddenly began to shift.” Thus, the timing of the liver clock merely depends on the timing of food intake, but the timing of the muscle clock depends on the timing of both eating and exercising. “To shift the clocks of different organs, a combination of different stimuli is needed,” concludes Kalsbeek.
Eating and being active at the same time not only reset the clock in the muscles but also positively affected the rats’ body health. After the experiment, the rats that were active and ate during the day had a much lower fat percentage and body weight than rats that were active during the day but ate during the night. This information can also be translated to humans: eating and exercising at the same time is important for the timing of the clock in our muscles. The next question is therefore also to investigate when exercising is most effective for people. “There are a lot of variations among studies with the few studies in humans that have been performed so far. To maintain glucose levels, exercising in the evening seems to be most effective. However, when looking at body weight, exercising in the morning appears to be more beneficial.” Therefore, Professor Kalsbeek wants to conduct further research on the timing of exercise. “This is particularly important for people who work on night shifts. We know that working during the day is better for the clocks in your body, but how can we keep those who have to work at night as healthy as possible?”
Source: Neurobiology of Sleep and Circadian Rhythms
Neurobiology of Sleep and Circadian Rhythms
Article Title
Synergy between time-restricted feeding and time-restricted running is necessary to shift the muscle clock in male wistar rats